-- Material --
+++
Entry 1:
Simulated powder XRD pattern of Ce3Se3Br for Cu Kα, 1.54184 Å, from a structure optimized by DFT (GGA-PBE).
No peak broadening, texture or thermal motion is included.

Atomic structure:
Unit cell a=4.197 b=4.197 c=11.787 alpha=90.00 beta=90.00 gamma=90.00
Space group P4/mmm (No. 123)
Inequivalent atoms, fractional coordinates:
Ce1 0.000 0.000 0.000
Ce2 0.500 0.500 0.253
Se1 0.000 0.000 0.256
Se2 0.500 0.500 0.000
Br1 0.500 0.500 0.500

Most intense lines, 2θ from 15° to 90°, by angle:
| 2θ/deg | I (rel.) | index |
| --- | --- | --- |
| 30.11 | 100 | 1 1 0 |
| 30.33 | 49 | 0 0 4 |
| 43.11 | 37 | 2 0 0 |
| 43.27 | 73 | 1 1 4 |
| 53.62 | 39 | 2 0 4 |
| 79.15 | 25 | 3 1 4 |

Entry 2:
Simulated powder XRD pattern of Ac3ThS6 for Cu Kα, 1.54184 Å, from a structure optimized by DFT (GGA-PBE).
No peak broadening, texture or thermal motion is included.

Atomic structure:
Unit cell a=7.256 b=7.895 c=12.266 alpha=90.00 beta=122.65 gamma=90.00
Space group P2_1/c (No. 14)
Inequivalent atoms, fractional coordinates:
Ac1 0.000 0.000 0.000
Ac2 0.204 0.078 0.728
Th1 0.500 0.000 0.500
S1 0.132 0.172 0.451
S2 0.232 0.707 0.407
S3 0.410 0.083 0.254

Most intense lines, 2θ from 15° to 90°, by angle:
| 2θ/deg | I (rel.) | index |
| --- | --- | --- |
| 22.52 | 27 | 0 2 0 |
| 23.42 | 71 | 1 1 1 |
| 24.54 | 100 | 1 1 -3 |
| 33.58 | 27 | 2 2 -2 |
| 41.91 | 19 | 3 1 -1 |
| 43.89 | 24 | 3 1 -5 |

Entry 3:
Simulated powder XRD pattern of Pm2YEr2 for Cu Kα, 1.54184 Å, from a structure optimized by DFT (GGA-PBE).
No peak broadening, texture or thermal motion is included.

Atomic structure:
Unit cell a=11.302 b=5.056 c=7.989 alpha=90.00 beta=134.85 gamma=90.00
Space group C2/m (No. 12)
Inequivalent atoms, fractional coordinates:
Pm1 0.201 0.000 0.299
Y1 0.000 0.000 0.500
Er1 0.101 0.500 0.902

Most intense lines, 2θ from 15° to 90°, by angle:
| 2θ/deg | I (rel.) | index |
| --- | --- | --- |
| 30.61 | 100 | 1 1 1 |
| 35.49 | 50 | 0 2 0 |
| 51.09 | 30 | 6 0 -4 |
| 60.64 | 14 | 5 1 0 |
| 60.76 | 28 | 1 3 1 |
| 85.93 | 8 | 8 2 -2 |

Entry 4:
Simulated powder XRD pattern of KNaNb2C for Cu Kα, 1.54184 Å, from a structure optimized by DFT (GGA-PBE).
No peak broadening, texture or thermal motion is included.

Atomic structure:
Unit cell a=4.325 b=4.325 c=5.981 alpha=90.00 beta=90.00 gamma=90.00
Space group P4/mmm (No. 123)
Inequivalent atoms, fractional coordinates:
K1 0.000 0.000 0.000
Na1 0.500 0.500 0.000
Nb1 0.000 0.500 0.500
C1 0.000 0.000 0.500

Most intense lines, 2θ from 15° to 90°, by angle:
| 2θ/deg | I (rel.) | index |
| --- | --- | --- |
| 29.88 | 39 | 0 0 2 |
| 32.89 | 100 | 1 1 1 |
| 41.77 | 30 | 2 0 0 |
| 52.20 | 30 | 2 0 2 |
| 54.98 | 22 | 1 1 3 |
| 70.65 | 20 | 3 1 1 |
+++
-- Assignment --
Retype the whole of the notes further above unchanged.
-- Here it is --
Entry 1:
Simulated powder XRD pattern of Ce3Se3Br for Cu Kα, 1.54184 Å, from a structure optimized by DFT (GGA-PBE).
No peak broadening, texture or thermal motion is included.

Atomic structure:
Unit cell a=4.197 b=4.197 c=11.787 alpha=90.00 beta=90.00 gamma=90.00
Space group P4/mmm (No. 123)
Inequivalent atoms, fractional coordinates:
Ce1 0.000 0.000 0.000
Ce2 0.500 0.500 0.253
Se1 0.000 0.000 0.256
Se2 0.500 0.500 0.000
Br1 0.500 0.500 0.500

Most intense lines, 2θ from 15° to 90°, by angle:
| 2θ/deg | I (rel.) | index |
| --- | --- | --- |
| 30.11 | 100 | 1 1 0 |
| 30.33 | 49 | 0 0 4 |
| 43.11 | 37 | 2 0 0 |
| 43.27 | 73 | 1 1 4 |
| 53.62 | 39 | 2 0 4 |
| 79.15 | 25 | 3 1 4 |

Entry 2:
Simulated powder XRD pattern of Ac3ThS6 for Cu Kα, 1.54184 Å, from a structure optimized by DFT (GGA-PBE).
No peak broadening, texture or thermal motion is included.

Atomic structure:
Unit cell a=7.256 b=7.895 c=12.266 alpha=90.00 beta=122.65 gamma=90.00
Space group P2_1/c (No. 14)
Inequivalent atoms, fractional coordinates:
Ac1 0.000 0.000 0.000
Ac2 0.204 0.078 0.728
Th1 0.500 0.000 0.500
S1 0.132 0.172 0.451
S2 0.232 0.707 0.407
S3 0.410 0.083 0.254

Most intense lines, 2θ from 15° to 90°, by angle:
| 2θ/deg | I (rel.) | index |
| --- | --- | --- |
| 22.52 | 27 | 0 2 0 |
| 23.42 | 71 | 1 1 1 |
| 24.54 | 100 | 1 1 -3 |
| 33.58 | 27 | 2 2 -2 |
| 41.91 | 19 | 3 1 -1 |
| 43.89 | 24 | 3 1 -5 |

Entry 3:
Simulated powder XRD pattern of Pm2YEr2 for Cu Kα, 1.54184 Å, from a structure optimized by DFT (GGA-PBE).
No peak broadening, texture or thermal motion is included.

Atomic structure:
Unit cell a=11.302 b=5.056 c=7.989 alpha=90.00 beta=134.85 gamma=90.00
Space group C2/m (No. 12)
Inequivalent atoms, fractional coordinates:
Pm1 0.201 0.000 0.299
Y1 0.000 0.000 0.500
Er1 0.101 0.500 0.902

Most intense lines, 2θ from 15° to 90°, by angle:
| 2θ/deg | I (rel.) | index |
| --- | --- | --- |
| 30.61 | 100 | 1 1 1 |
| 35.49 | 50 | 0 2 0 |
| 51.09 | 30 | 6 0 -4 |
| 60.64 | 14 | 5 1 0 |
| 60.76 | 28 | 1 3 1 |
| 85.93 | 8 | 8 2 -2 |

Entry 4:
Simulated powder XRD pattern of KNaNb2C for Cu Kα, 1.54184 Å, from a structure optimized by DFT (GGA-PBE).
No peak broadening, texture or thermal motion is included.

Atomic structure:
Unit cell a=4.325 b=4.325 c=5.981 alpha=90.00 beta=90.00 gamma=90.00
Space group P4/mmm (No. 123)
Inequivalent atoms, fractional coordinates:
K1 0.000 0.000 0.000
Na1 0.500 0.500 0.000
Nb1 0.000 0.500 0.500
C1 0.000 0.000 0.500

Most intense lines, 2θ from 15° to 90°, by angle:
| 2θ/deg | I (rel.) | index |
| --- | --- | --- |
| 29.88 | 39 | 0 0 2 |
| 32.89 | 100 | 1 1 1 |
| 41.77 | 30 | 2 0 0 |
| 52.20 | 30 | 2 0 2 |
| 54.98 | 22 | 1 1 3 |
| 70.65 | 20 | 3 1 1 |